Assignment =
Your job: start at the top of the block further below and give back each line, ending with the one that has "O25 0.764".

Excerpt =
Here is crystalline Na2Si2O5 at its relaxed geometry from Materials Project. Energies are from PBE-GGA.

abc: 4.921 8.221 12.466
angles: 75.76 90.00 90.00
Positions (direct):
Na1 0.274 0.865 0.972
Na2 0.226 0.865 0.472
Na3 0.254 0.379 0.057
Na4 0.746 0.621 0.943
Na5 0.246 0.379 0.557
Na6 0.726 0.135 0.028
Na7 0.754 0.621 0.443
Na8 0.774 0.135 0.528
O1 0.270 0.609 0.901
O2 0.363 0.015 0.286
O3 0.616 0.545 0.268
O4 0.753 0.226 0.819
O5 0.863 0.985 0.214
O6 0.253 0.774 0.681
O7 0.770 0.391 0.599
O8 0.748 0.907 0.436
O9 0.248 0.093 0.064
O10 0.884 0.545 0.768
O11 0.752 0.907 0.936
O12 0.137 0.015 0.786
O13 0.116 0.455 0.232
O14 0.252 0.093 0.564
O15 0.230 0.609 0.401
O16 0.730 0.391 0.099
O17 0.247 0.774 0.181
O18 0.747 0.226 0.319
O19 0.637 0.985 0.714
O20 0.384 0.455 0.732
Si1 0.292 0.597 0.277
Si2 0.812 0.028 0.817
Si3 0.188 0.972 0.183
Si4 0.312 0.972 0.683
Si5 0.792 0.403 0.223
Si6 0.708 0.403 0.723
Si7 0.208 0.597 0.777
Si8 0.688 0.028 0.317

Properties
* E_tot: -6.770 eV/atom
* corrected total energy (MP2020 scheme): -7.15 eV per atom
* energy relative to the elements: -2.9037 eV/atom
* space group: P2_1/c, No. 14
* calculated volume: 489 Å³/cell
* crystal system: monoclinic
* relative energy among the computed polymorphs: 0.0 kJ per mole of atoms

---

Here is crystalline NaSi3O6 at its relaxed geometry from Materials Project. Energies are from PBE-GGA.

abc: 12.016 12.016 12.016
angles: 90.00 90.00 90.00
Positions (direct):
Si1 0.375 0.000 0.818
Si2 0.182 0.000 0.625
Si3 0.818 0.000 0.625
Si4 0.625 0.000 0.818
Si5 0.818 0.000 0.375
Si6 0.000 0.182 0.625
Si7 0.375 0.000 0.182
Si8 0.818 0.625 0.000
Si9 0.375 0.182 0.000
Si10 0.182 0.625 0.000
Si11 0.000 0.375 0.818
Si12 0.375 0.818 0.000
Si13 0.625 0.000 0.182
Si14 0.818 0.375 0.000
Si15 0.000 0.182 0.375
Si16 0.000 0.375 0.182
Si17 0.625 0.182 0.000
Si18 0.182 0.000 0.375
Si19 0.000 0.625 0.818
Si20 0.000 0.625 0.182
Si21 0.182 0.375 0.000
Si22 0.625 0.818 0.000
Si23 0.000 0.818 0.625
Si24 0.000 0.818 0.375
O1 0.883 0.339 0.117
O2 0.117 0.883 0.661
O3 0.000 0.500 0.236
O4 0.711 0.000 0.711
O5 0.000 0.289 0.711
O6 0.500 0.000 0.236
O7 0.236 0.500 0.000
O8 0.883 0.883 0.339
O9 0.883 0.661 0.883
O10 0.117 0.117 0.661
O11 0.661 0.883 0.117
O12 0.117 0.339 0.883
O13 0.339 0.117 0.883
O14 0.236 0.000 0.500
O15 0.883 0.117 0.339
O16 0.289 0.289 0.000
O17 0.339 0.883 0.117
O18 0.883 0.339 0.883
O19 0.764 0.000 0.500
O20 0.661 0.883 0.883
O21 0.000 0.711 0.289
O22 0.000 0.236 0.500
O23 0.711 0.289 0.000
O24 0.500 0.764 0.000
O25 0.764 0.500 0.000
O26 0.711 0.711 0.000
O27 0.289 0.711 0.000
O28 0.117 0.883 0.339
O29 0.339 0.117 0.117
O30 0.339 0.883 0.883
O31 0.883 0.883 0.661
O32 0.289 0.000 0.711
O33 0.000 0.764 0.500
O34 0.661 0.117 0.117
O35 0.117 0.661 0.883
O36 0.117 0.661 0.117
O37 0.000 0.500 0.764
O38 0.711 0.000 0.289
O39 0.117 0.339 0.117
O40 0.500 0.236 0.000
O41 0.661 0.117 0.883
O42 0.289 0.000 0.289
O43 0.500 0.000 0.764
O44 0.883 0.117 0.661
O45 0.883 0.661 0.117
O46 0.000 0.289 0.289
O47 0.000 0.711 0.711
O48 0.117 0.117 0.339
Na1 0.214 0.214 0.214
Na2 0.214 0.786 0.214
Na3 0.786 0.786 0.214
Na4 0.786 0.214 0.786
Na5 0.214 0.786 0.786
Na6 0.786 0.214 0.214
Na7 0.786 0.786 0.786
Na8 0.214 0.214 0.786

Properties
* E_tot: -7.143 eV/atom
* corrected total energy (MP2020 scheme): -7.56 eV per atom
* energy relative to the elements: -2.8267 eV/atom
* space group: Pm-3m, No. 221
* calculated volume: 1735 Å³/cell
* crystal system: cubic

---

Here is crystalline NaSi2O8 at its relaxed geometry from Materials Project. Energies are from PBE-GGA.

abc: 4.893 7.935 17.450
angles: 90.00 90.00 90.00
Positions (direct):
Si1 0.502 0.448 0.201
Si2 0.002 0.552 0.299

Completed =
Here is crystalline Na2Si2O5 at its relaxed geometry from Materials Project. Energies are from PBE-GGA.

abc: 4.921 8.221 12.466
angles: 75.76 90.00 90.00
Positions (direct):
Na1 0.274 0.865 0.972
Na2 0.226 0.865 0.472
Na3 0.254 0.379 0.057
Na4 0.746 0.621 0.943
Na5 0.246 0.379 0.557
Na6 0.726 0.135 0.028
Na7 0.754 0.621 0.443
Na8 0.774 0.135 0.528
O1 0.270 0.609 0.901
O2 0.363 0.015 0.286
O3 0.616 0.545 0.268
O4 0.753 0.226 0.819
O5 0.863 0.985 0.214
O6 0.253 0.774 0.681
O7 0.770 0.391 0.599
O8 0.748 0.907 0.436
O9 0.248 0.093 0.064
O10 0.884 0.545 0.768
O11 0.752 0.907 0.936
O12 0.137 0.015 0.786
O13 0.116 0.455 0.232
O14 0.252 0.093 0.564
O15 0.230 0.609 0.401
O16 0.730 0.391 0.099
O17 0.247 0.774 0.181
O18 0.747 0.226 0.319
O19 0.637 0.985 0.714
O20 0.384 0.455 0.732
Si1 0.292 0.597 0.277
Si2 0.812 0.028 0.817
Si3 0.188 0.972 0.183
Si4 0.312 0.972 0.683
Si5 0.792 0.403 0.223
Si6 0.708 0.403 0.723
Si7 0.208 0.597 0.777
Si8 0.688 0.028 0.317

Properties
* E_tot: -6.770 eV/atom
* corrected total energy (MP2020 scheme): -7.15 eV per atom
* energy relative to the elements: -2.9037 eV/atom
* space group: P2_1/c, No. 14
* calculated volume: 489 Å³/cell
* crystal system: monoclinic
* relative energy among the computed polymorphs: 0.0 kJ per mole of atoms

---

Here is crystalline NaSi3O6 at its relaxed geometry from Materials Project. Energies are from PBE-GGA.

abc: 12.016 12.016 12.016
angles: 90.00 90.00 90.00
Positions (direct):
Si1 0.375 0.000 0.818
Si2 0.182 0.000 0.625
Si3 0.818 0.000 0.625
Si4 0.625 0.000 0.818
Si5 0.818 0.000 0.375
Si6 0.000 0.182 0.625
Si7 0.375 0.000 0.182
Si8 0.818 0.625 0.000
Si9 0.375 0.182 0.000
Si10 0.182 0.625 0.000
Si11 0.000 0.375 0.818
Si12 0.375 0.818 0.000
Si13 0.625 0.000 0.182
Si14 0.818 0.375 0.000
Si15 0.000 0.182 0.375
Si16 0.000 0.375 0.182
Si17 0.625 0.182 0.000
Si18 0.182 0.000 0.375
Si19 0.000 0.625 0.818
Si20 0.000 0.625 0.182
Si21 0.182 0.375 0.000
Si22 0.625 0.818 0.000
Si23 0.000 0.818 0.625
Si24 0.000 0.818 0.375
O1 0.883 0.339 0.117
O2 0.117 0.883 0.661
O3 0.000 0.500 0.236
O4 0.711 0.000 0.711
O5 0.000 0.289 0.711
O6 0.500 0.000 0.236
O7 0.236 0.500 0.000
O8 0.883 0.883 0.339
O9 0.883 0.661 0.883
O10 0.117 0.117 0.661
O11 0.661 0.883 0.117
O12 0.117 0.339 0.883
O13 0.339 0.117 0.883
O14 0.236 0.000 0.500
O15 0.883 0.117 0.339
O16 0.289 0.289 0.000
O17 0.339 0.883 0.117
O18 0.883 0.339 0.883
O19 0.764 0.000 0.500
O20 0.661 0.883 0.883
O21 0.000 0.711 0.289
O22 0.000 0.236 0.500
O23 0.711 0.289 0.000
O24 0.500 0.764 0.000
O25 0.764 0.500 0.000